(Assignment)
Please set down only the last part of the lines further down, starting with the line that has "2.679 2.679".

(Input)
(1)
An optimized crystal structure of LaVSi2. Source: Alexandria, functional PBE.

extended XYZ file:
```
4
Lattice="2.100 1.212 5.310 -2.100 1.212 5.310 0.000 -2.425 5.310" Properties=species:S:1:pos:R:3 pbc="T T T"
La 0.000 0.000 0.000
V 0.000 0.000 7.965
Si 0.000 0.000 3.369
Si 0.000 0.000 12.562
```

Total DFT energy (no corrections): -6.6026 eV per atom
DOS(E_F): 3.408 states/eV/cell
Energy relative to the elements, uncorrected: -380 meV per atom
Mass density: 5.036 g/cm3
E above lowest polymorph: 0.0 meV/atom

***

(2)
An optimized crystal structure of LaVSi3. Source: Alexandria, functional PBE.

extended XYZ file:
```
5
Lattice="5.358 0.000 0.000 0.000 5.358 0.000 0.000 0.000 5.358" Properties=species:S:1:pos:R:3 pbc="T T T"
La 0.000 0.000 0.000
V 2.679 2.679 2.679
Si 0.000 0.000 2.679
Si 0.000 2.679 0.000
Si 2.679 0.000 0.000
```

Total DFT energy (no corrections): -4.3912 eV per atom
DOS(E_F): 8.176 states/eV/cell
Energy relative to the elements, uncorrected: 1672 meV per atom
Mass density: 2.960 g/cm3

***

Look up the energy relative to the elements, uncorrected of the second one.
1672 meV per atom

----------

1.
## BPd (PBE)

Data for a relaxed BPd crystal.

Lattice parameters (Å, degrees): 2.862 5.095 6.152 90.00 90.00 90.00
Space group Imm2 (No. 44)
Symmetry-distinct sites (fractional):
B 0.000 0.172 0.000 [4 per cell]
Pd 0.000 0.000 0.643 [2 per cell]
Pd 0.000 0.500 0.757 [2 per cell]

Results
- calculated formation energy (meV per atom) = 131


2.
## PbAu2Br (PBE)

Data for a relaxed PbAu2Br crystal.

Lattice parameters (Å, degrees): 4.022 6.183 8.118 90.00 90.00 90.00
Space group Cmmm (No. 65)
Symmetry-distinct sites (fractional):
Pb 0.000 0.000 0.000 [2 per cell]
Au 0.000 0.500 0.252 [4 per cell]
Br 0.000 0.000 0.500 [2 per cell]

Results
- ΔE_f (raw) (eV per formula unit) = 0.55
- energy relative to the lowest polymorph listed for this composition (meV/atom) = 259


3.
## BiTePd2 (PBE)

Data for a relaxed BiTePd2 crystal.

Lattice parameters (Å, degrees): 4.2156 4.2156 18.1469 90.00 90.00 120.00
Space group R3m (No. 160, hexagonal axes)
Symmetry-distinct sites (fractional):
Bi 0.0000 0.0000 0.0000 [3 per cell]
Te 0.0000 0.0000 0.8232 [3 per cell]
Pd 0.0000 0.0000 0.2492 [3 per cell]
Pd 0.0000 0.0000 0.4138 [3 per cell]

Results
- ΔE_f (raw) (eV per formula unit) = -0.91
- energy relative to the lowest polymorph listed for this composition (meV/atom) = 125


4.
## CsKPtSe2 (PBE)

(Worked solution)
V 2.679 2.679 2.679
Si 0.000 0.000 2.679
Si 0.000 2.679 0.000
Si 2.679 0.000 0.000
```

Total DFT energy (no corrections): -4.3912 eV per atom
DOS(E_F): 8.176 states/eV/cell
Energy relative to the elements, uncorrected: 1672 meV per atom
Mass density: 2.960 g/cm3

***

Look up the energy relative to the elements, uncorrected of the second one.
1672 meV per atom

----------

1.
## BPd (PBE)

Data for a relaxed BPd crystal.

Lattice parameters (Å, degrees): 2.862 5.095 6.152 90.00 90.00 90.00
Space group Imm2 (No. 44)
Symmetry-distinct sites (fractional):
B 0.000 0.172 0.000 [4 per cell]
Pd 0.000 0.000 0.643 [2 per cell]
Pd 0.000 0.500 0.757 [2 per cell]

Results
- calculated formation energy (meV per atom) = 131


2.
## PbAu2Br (PBE)

Data for a relaxed PbAu2Br crystal.

Lattice parameters (Å, degrees): 4.022 6.183 8.118 90.00 90.00 90.00
Space group Cmmm (No. 65)
Symmetry-distinct sites (fractional):
Pb 0.000 0.000 0.000 [2 per cell]
Au 0.000 0.500 0.252 [4 per cell]
Br 0.000 0.000 0.500 [2 per cell]

Results
- ΔE_f (raw) (eV per formula unit) = 0.55
- energy relative to the lowest polymorph listed for this composition (meV/atom) = 259


3.
## BiTePd2 (PBE)

Data for a relaxed BiTePd2 crystal.

Lattice parameters (Å, degrees): 4.2156 4.2156 18.1469 90.00 90.00 120.00
Space group R3m (No. 160, hexagonal axes)
Symmetry-distinct sites (fractional):
Bi 0.0000 0.0000 0.0000 [3 per cell]
Te 0.0000 0.0000 0.8232 [3 per cell]
Pd 0.0000 0.0000 0.2492 [3 per cell]
Pd 0.0000 0.0000 0.4138 [3 per cell]

Results
- ΔE_f (raw) (eV per formula unit) = -0.91
- energy relative to the lowest polymorph listed for this composition (meV/atom) = 125


4.
## CsKPtSe2 (PBE)